# Listing
Arrangement P

Formula: C2H3OP
Source: the Open Molecules 2025 dataset
Level of theory: ωB97M-V with the def2-TZVPD basis set

Geometry (Å):
C -0.46 0.10 0.04
C -1.36 0.98 1.02
O -2.30 0.32 1.60
P -0.34 -1.35 0.75
H -0.29 0.24 -0.91
H -0.83 2.08 1.30
H -1.16 -0.78 1.71

The HOMO energy is -0.356 Ha. The LUMO energy comes out at -0.43 eV. The structure (SMILES) is [H]/P=C\C=O.


Arrangement Q

Formula: C2H3OP
Source: the Open Molecules 2025 dataset
Level of theory: ωB97M-V with the def2-TZVPD basis set

Geometry (Å):
C 0.95 0.11 0.11
C 0.13 0.49 -0.86
O -1.15 -1.89 0.14
P -0.71 -0.49 0.43
H 2.18 0.29 0.46
H -0.23 1.03 -1.71
H -1.17 0.45 1.42

The HOMO energy is -0.346 Ha. The LUMO energy comes out at 0.73 eV. The structure (SMILES) is O=[PH]1C=C1.


Arrangement R

Formula: C2H3OP
Source: the Open Molecules 2025 dataset
Level of theory: ωB97M-V with the def2-TZVPD basis set

Geometry (Å):
C -1.78 -0.35 0.27
C 1.46 0.21 -0.10
O 1.81 -0.32 -1.11
P -2.45 0.89 -0.34
H -1.74 -1.29 0.63
H 0.65 -0.23 0.43
H 2.06 1.09 0.23

The HOMO energy is -0.363 Ha. The LUMO energy comes out at 0.10 eV. The structure (SMILES) is C#P.C=O.


Best to worst by energy: arrangement Q, arrangement R, arrangement P.


Arrangement P

Formula: CH3N2O2
Source: the Open Molecules 2025 dataset
Level of theory: ωB97M-V with the def2-TZVPD basis set

Geometry (Å):
C -0.14 0.19 -0.15
N 1.70 -1.08 1.44
N 1.03 -1.50 2.39
O 1.75 -2.13 3.23
O -0.16 -1.29 2.54
H -0.61 -0.36 0.67
H 0.46 -0.28 -0.83
H 0.06 1.37 0.04

As for the total charge: -1. The HOMO energy (spin up / spin down) is -0.143 / -0.144 Ha. The LUMO energy (spin up / spin down) comes out at 4.04 / 4.69 eV.


Arrangement Q

Formula: CH3N2O2
Source: the Open Molecules 2025 dataset
Level of theory: ωB97M-V with the def2-TZVPD basis set

Geometry (Å):
C 0.16 -0.05 1.07
N 0.62 -0.51 -0.18
N -0.13 0.00 -1.42
O -1.05 0.81 -1.25
O 0.24 -0.43 -2.51
H 1.05 0.10 1.69
H -0.42 0.89 1.03
H -0.47 -0.82 1.57

As for the total charge: -1. The HOMO energy is -0.104 Ha. The LUMO energy comes out at 4.75 eV. The structure (SMILES) is CN=[N+]([O-])[O-].


Best to worst by energy: arrangement Q, arrangement P.


Arrangement P

Formula: C5H11N
Source: the Open Molecules 2025 dataset
Level of theory: ωB97M-V with the def2-TZVPD basis set

Geometry (Å):
C 0.10 -1.18 -0.62
C 0.42 -0.77 -1.86
C 1.84 -2.57 0.10
N 1.04 -1.52 0.34
H -0.93 -1.19 -0.24
H 1.44 -0.60 -2.17
H -0.36 -0.57 -2.60
H 2.51 -2.84 0.92
H 1.76 -3.22 -0.77
C -0.86 1.56 1.58
C -1.10 2.05 0.16
H -1.63 1.98 2.23
H 0.09 1.96 1.95
H -0.83 0.48 1.66
H -1.07 3.14 0.04
H -0.36 1.63 -0.52
H -2.06 1.67 -0.21

As for the total charge: -1. The HOMO energy (spin up / spin down) is 0.016 / -0.116 Ha. The LUMO energy (spin up / spin down) comes out at 4.02 / 4.00 eV. The spin multiplicity is 2.


Arrangement Q

Formula: C5H11N
Source: the Open Molecules 2025 dataset
Level of theory: ωB97M-V with the def2-TZVPD basis set

Geometry (Å):
C 2.36 0.01 -0.63
C 1.26 -0.23 0.42
N -1.75 0.40 -1.27
C -1.21 0.29 0.04
C 0.12 0.76 0.43
C -2.01 -0.63 0.94
H 2.84 0.98 -0.46
H 1.90 0.07 -1.61
H 3.14 -0.76 -0.62
H 0.84 -1.23 0.21
H 1.77 -0.32 1.40
H -1.18 1.06 -1.78
H -1.70 -0.51 -1.75
H 0.14 1.52 1.20
H -1.53 -1.09 1.79
H -3.00 -0.93 0.63
H -2.00 0.63 1.06

As for the total charge: -1. The HOMO energy (spin up / spin down) is -0.020 / -0.036 Ha. The LUMO energy (spin up / spin down) comes out at 4.59 / 4.49 eV. The spin multiplicity is 2.


Best to worst by energy: arrangement P, arrangement Q.


Arrangement P

Formula: C10H13O2
Source: the Open Molecules 2025 dataset
Level of theory: ωB97M-V with the def2-TZVPD basis set

Geometry (Å):
C 0.30 -1.20 -2.30
C 0.07 -2.27 -1.22
C 1.82 -1.31 -2.71
O 2.59 -0.48 -2.17
O 2.12 -2.29 -3.44
H -0.26 -1.42 -3.20
H 0.26 -0.18 -1.92
H 0.52 -1.79 -0.35
H 0.65 -3.16 -1.46
H -0.98 -2.53 -1.08
C -2.02 0.84 3.95
C -0.19 1.38 0.02
C 0.57 0.89 1.05
C -1.50 1.88 0.28
C -0.08 0.70 2.35
C -2.13 1.59 1.53
C -1.36 1.14 2.61
H 0.21 1.69 -0.92
H 1.61 0.63 0.92
# Wanted
Your job: transcribe every line further up that contains the word "total".
# Result
As for the total charge: -1. The HOMO energy (spin up / spin down) is -0.143 / -0.144 Ha. The LUMO energy (spin up / spin down) comes out at 4.04 / 4.69 eV.
As for the total charge: -1. The HOMO energy is -0.104 Ha. The LUMO energy comes out at 4.75 eV. The structure (SMILES) is CN=[N+]([O-])[O-].
As for the total charge: -1. The HOMO energy (spin up / spin down) is 0.016 / -0.116 Ha. The LUMO energy (spin up / spin down) comes out at 4.02 / 4.00 eV. The spin multiplicity is 2.
As for the total charge: -1. The HOMO energy (spin up / spin down) is -0.020 / -0.036 Ha. The LUMO energy (spin up / spin down) comes out at 4.59 / 4.49 eV. The spin multiplicity is 2.